The reader should print everything underneath without altering anything.
- - -
Record 1
# C19H44FN2O5S

A cluster of 3 separate species, C19H44FN2O5S in total in a non-equilibrium geometry (wB97M-V/def2-TZVPD, OMol25).

Each atom is followed by the atoms it is bonded to, with distances in Å.
Positions of all 72 atoms, in Å:
1 C -4.811 -5.104 -2.616  C2 1.582, H11 1.111, H12 1.111, H13 1.109
2 C -5.288 -3.888 -1.724  C1 1.582, C3 1.556, H14 1.114, H15 1.116
3 C -4.543 -2.552 -2.010  C2 1.556, C4 1.582, H16 1.116, H17 1.119
4 C -3.239 -2.354 -1.137  C3 1.582, C5 1.594, H18 1.115, H19 1.113
5 C -2.066 -1.666 -1.969  C4 1.594, S6 1.827, H20 1.120, H21 1.109
6 S -0.854 -2.849 -2.655  C5 1.827, C7 1.849, H22 1.375
7 C -1.314 -3.332 -4.380  S6 1.849, C8 1.540, H23 1.113, H24 1.114
8 C -1.091 -2.201 -5.401  C7 1.540, O9 1.147, F10 1.357
9 O -0.865 -2.469 -6.493  C8 1.147
10 F -1.110 -0.889 -5.053  C8 1.357
11 H -5.704 -5.569 -3.085  C1 1.111
12 H -4.389 -5.869 -1.930  C1 1.111
13 H -4.115 -4.819 -3.432  C1 1.109
14 H -5.274 -4.184 -0.650  C2 1.114
15 H -6.368 -3.740 -1.963  C2 1.116
16 H -5.240 -1.702 -1.819  C3 1.116
17 H -4.287 -2.465 -3.096  C3 1.119
18 H -2.918 -3.299 -0.639  C4 1.115
19 H -3.517 -1.620 -0.348  C4 1.113
20 H -1.527 -0.962 -1.285  C5 1.120
21 H -2.503 -1.043 -2.776  C5 1.109
22 H -0.954 -4.033 -1.963  S6 1.375
23 H -0.703 -4.216 -4.665  C7 1.113
24 H -2.373 -3.674 -4.439  C7 1.114
25 C 0.060 2.050 5.271  O26 1.419, H34 1.090, H35 1.094, H36 1.093
26 O -0.825 0.953 5.103  C25 1.419, C27 1.426
27 C -2.197 1.312 5.251  O26 1.426, C28 1.520, H37 1.094, H38 1.094
28 C -2.929 1.144 3.929  C27 1.520, N29 1.462, H39 1.094, H40 1.098
29 N -2.507 2.161 2.968  C28 1.462, C30 1.459, H41 1.012
30 C -3.000 1.926 1.614  N29 1.459, C31 1.531, H42 1.094, H43 1.095
31 C -2.465 0.695 0.880  C30 1.531, O32 1.420, H44 1.097, H45 1.097
32 O -1.079 0.764 0.576  C31 1.420, C33 1.426
33 C -0.214 0.290 1.605  O32 1.426, H46 1.093, H47 1.091, H48 1.091
34 H 1.079 1.665 5.232  C25 1.090
35 H -0.063 2.782 4.466  C25 1.094
36 H -0.094 2.532 6.240  C25 1.093
37 H -2.318 2.324 5.648  C27 1.094
38 H -2.630 0.620 5.979  C27 1.094
39 H -4.006 1.233 4.098  C28 1.094
40 H -2.718 0.133 3.558  C28 1.098
41 H -1.496 2.187 2.940  N29 1.012
42 H -2.729 2.807 1.026  C30 1.094
43 H -4.094 1.886 1.633  C30 1.095
44 H -2.973 0.643 -0.092  C31 1.097
45 H -2.705 -0.244 1.395  C31 1.097
46 H -0.667 -0.512 2.193  C33 1.093
47 H 0.087 1.113 2.255  C33 1.091
48 H 0.690 -0.096 1.131  C33 1.091
49 C 4.714 4.604 -1.139  O50 1.419, H58 1.090, H59 1.094, H60 1.093
50 O 5.300 3.463 -1.744  C49 1.419, C51 1.426
51 C 6.493 3.033 -1.091  O50 1.426, C52 1.520, H61 1.094, H62 1.094
52 C 6.284 1.667 -0.458  C51 1.520, N53 1.462, H63 1.093, H64 1.097
53 N 5.388 1.759 0.694  C52 1.462, C54 1.461, H65 1.012
54 C 4.967 0.459 1.212  N53 1.461, C55 1.530, H66 1.094, H67 1.094
55 C 4.077 -0.400 0.310  C54 1.530, O56 1.423, H68 1.095, H69 1.095
56 O 2.784 0.150 0.085  C55 1.423, C57 1.420
57 C 2.704 1.046 -1.014  O56 1.420, H70 1.092, H71 1.092, H72 1.092
58 H 3.869 4.911 -1.755  C49 1.090
59 H 4.344 4.371 -0.136  C49 1.094
60 H 5.428 5.431 -1.090  C49 1.093
61 H 6.847 3.762 -0.357  C51 1.094
62 H 7.264 2.945 -1.863  C51 1.094
63 H 7.248 1.267 -0.133  C52 1.093
64 H 5.874 1.002 -1.229  C52 1.097
65 H 4.563 2.280 0.426  N53 1.012
66 H 4.413 0.656 2.134  C54 1.094
67 H 5.853 -0.118 1.495  C54 1.094
68 H 3.908 -1.347 0.834  C55 1.095
69 H 4.561 -0.662 -0.637  C55 1.095
70 H 3.405 0.788 -1.811  C57 1.092
71 H 2.869 2.073 -0.684  C57 1.092
72 H 1.689 0.993 -1.415  C57 1.092

molecular weight = 431.6 g/mol
LUMO = -3.53 eV
net charge = +1
largest force on an atom = 3.1 eV/Å
E = -47175.9493 eV

These are the Mulliken partial charges, in e, on atoms 1 to 2:
1. C -0.767
2. C -0.684

---

Record 2
# C5H12N2O3

The molecule C5H12N2O3 in a non-equilibrium geometry (wB97M-V/def2-TZVPD, OMol25).

Each atom is followed by the atoms it is bonded to, with distances in Å.
Positions of all 22 atoms, in Å:
1 C 0.972 0.754 0.235  C4 1.773, C5 1.511, O8 1.453, O9 1.262
- - -
Record 1
# C19H44FN2O5S

A cluster of 3 separate species, C19H44FN2O5S in total in a non-equilibrium geometry (wB97M-V/def2-TZVPD, OMol25).

Each atom is followed by the atoms it is bonded to, with distances in Å.
Positions of all 72 atoms, in Å:
1 C -4.811 -5.104 -2.616  C2 1.582, H11 1.111, H12 1.111, H13 1.109
2 C -5.288 -3.888 -1.724  C1 1.582, C3 1.556, H14 1.114, H15 1.116
3 C -4.543 -2.552 -2.010  C2 1.556, C4 1.582, H16 1.116, H17 1.119
4 C -3.239 -2.354 -1.137  C3 1.582, C5 1.594, H18 1.115, H19 1.113
5 C -2.066 -1.666 -1.969  C4 1.594, S6 1.827, H20 1.120, H21 1.109
6 S -0.854 -2.849 -2.655  C5 1.827, C7 1.849, H22 1.375
7 C -1.314 -3.332 -4.380  S6 1.849, C8 1.540, H23 1.113, H24 1.114
8 C -1.091 -2.201 -5.401  C7 1.540, O9 1.147, F10 1.357
9 O -0.865 -2.469 -6.493  C8 1.147
10 F -1.110 -0.889 -5.053  C8 1.357
11 H -5.704 -5.569 -3.085  C1 1.111
12 H -4.389 -5.869 -1.930  C1 1.111
13 H -4.115 -4.819 -3.432  C1 1.109
14 H -5.274 -4.184 -0.650  C2 1.114
15 H -6.368 -3.740 -1.963  C2 1.116
16 H -5.240 -1.702 -1.819  C3 1.116
17 H -4.287 -2.465 -3.096  C3 1.119
18 H -2.918 -3.299 -0.639  C4 1.115
19 H -3.517 -1.620 -0.348  C4 1.113
20 H -1.527 -0.962 -1.285  C5 1.120
21 H -2.503 -1.043 -2.776  C5 1.109
22 H -0.954 -4.033 -1.963  S6 1.375
23 H -0.703 -4.216 -4.665  C7 1.113
24 H -2.373 -3.674 -4.439  C7 1.114
25 C 0.060 2.050 5.271  O26 1.419, H34 1.090, H35 1.094, H36 1.093
26 O -0.825 0.953 5.103  C25 1.419, C27 1.426
27 C -2.197 1.312 5.251  O26 1.426, C28 1.520, H37 1.094, H38 1.094
28 C -2.929 1.144 3.929  C27 1.520, N29 1.462, H39 1.094, H40 1.098
29 N -2.507 2.161 2.968  C28 1.462, C30 1.459, H41 1.012
30 C -3.000 1.926 1.614  N29 1.459, C31 1.531, H42 1.094, H43 1.095
31 C -2.465 0.695 0.880  C30 1.531, O32 1.420, H44 1.097, H45 1.097
32 O -1.079 0.764 0.576  C31 1.420, C33 1.426
33 C -0.214 0.290 1.605  O32 1.426, H46 1.093, H47 1.091, H48 1.091
34 H 1.079 1.665 5.232  C25 1.090
35 H -0.063 2.782 4.466  C25 1.094
36 H -0.094 2.532 6.240  C25 1.093
37 H -2.318 2.324 5.648  C27 1.094
38 H -2.630 0.620 5.979  C27 1.094
39 H -4.006 1.233 4.098  C28 1.094
40 H -2.718 0.133 3.558  C28 1.098
41 H -1.496 2.187 2.940  N29 1.012
42 H -2.729 2.807 1.026  C30 1.094
43 H -4.094 1.886 1.633  C30 1.095
44 H -2.973 0.643 -0.092  C31 1.097
45 H -2.705 -0.244 1.395  C31 1.097
46 H -0.667 -0.512 2.193  C33 1.093
47 H 0.087 1.113 2.255  C33 1.091
48 H 0.690 -0.096 1.131  C33 1.091
49 C 4.714 4.604 -1.139  O50 1.419, H58 1.090, H59 1.094, H60 1.093
50 O 5.300 3.463 -1.744  C49 1.419, C51 1.426
51 C 6.493 3.033 -1.091  O50 1.426, C52 1.520, H61 1.094, H62 1.094
52 C 6.284 1.667 -0.458  C51 1.520, N53 1.462, H63 1.093, H64 1.097
53 N 5.388 1.759 0.694  C52 1.462, C54 1.461, H65 1.012
54 C 4.967 0.459 1.212  N53 1.461, C55 1.530, H66 1.094, H67 1.094
55 C 4.077 -0.400 0.310  C54 1.530, O56 1.423, H68 1.095, H69 1.095
56 O 2.784 0.150 0.085  C55 1.423, C57 1.420
57 C 2.704 1.046 -1.014  O56 1.420, H70 1.092, H71 1.092, H72 1.092
58 H 3.869 4.911 -1.755  C49 1.090
59 H 4.344 4.371 -0.136  C49 1.094
60 H 5.428 5.431 -1.090  C49 1.093
61 H 6.847 3.762 -0.357  C51 1.094
62 H 7.264 2.945 -1.863  C51 1.094
63 H 7.248 1.267 -0.133  C52 1.093
64 H 5.874 1.002 -1.229  C52 1.097
65 H 4.563 2.280 0.426  N53 1.012
66 H 4.413 0.656 2.134  C54 1.094
67 H 5.853 -0.118 1.495  C54 1.094
68 H 3.908 -1.347 0.834  C55 1.095
69 H 4.561 -0.662 -0.637  C55 1.095
70 H 3.405 0.788 -1.811  C57 1.092
71 H 2.869 2.073 -0.684  C57 1.092
72 H 1.689 0.993 -1.415  C57 1.092

molecular weight = 431.6 g/mol
LUMO = -3.53 eV
net charge = +1
largest force on an atom = 3.1 eV/Å
E = -47175.9493 eV

These are the Mulliken partial charges, in e, on atoms 1 to 2:
1. C -0.767
2. C -0.684

---

Record 2
# C5H12N2O3

The molecule C5H12N2O3 in a non-equilibrium geometry (wB97M-V/def2-TZVPD, OMol25).

Each atom is followed by the atoms it is bonded to, with distances in Å.
Positions of all 22 atoms, in Å:
1 C 0.972 0.754 0.235  C4 1.773, C5 1.511, O8 1.453, O9 1.262